-- Given --
DFT (ωB97M-V/def2-TZVPD) results for an isolated molecule of C4H6Cl2O2 in a non-equilibrium geometry.

Bonds (Å) are listed after each position.
Positions of all 14 atoms, in Å:
1 O -2.1981 1.0853 1.0724  C2 1.508, H9 1.187
2 C -1.3691 1.4879 -0.1211  O1 1.508, C3 1.608, H10 1.165, H11 1.143
3 C -0.4101 0.2192 -0.3589  C2 1.608, Cl4 1.880, C5 1.269
4 Cl -1.2712 -1.3416 -0.9550  C3 1.880
5 C 0.8492 0.0705 -0.4171  C3 1.269, Cl6 1.818, C7 1.505
6 Cl 1.7346 1.6500 -0.5848  C5 1.818
7 C 1.5807 -1.2394 -0.2974  C5 1.505, O8 1.545, H12 1.150, H13 1.127
8 O 1.9224 -1.4131 1.1996  C7 1.545, H14 1.073
9 H -2.5551 -0.0452 1.0177  O1 1.187
10 H -1.9954 1.8150 -1.0471  C2 1.165
11 H -0.8866 2.4987 0.1059  C2 1.143
12 H 2.5520 -0.9579 -0.8460  C7 1.150
13 H 1.0318 -2.2025 -0.4988  C7 1.127
14 H 1.0150 -1.6271 1.7306  O8 1.073

Values from the calculation:
**Lowest unoccupied orbital energy**: 0.08 eV
**Kohn-Sham gap**: 10.05 eV
**Total charge**: 0
**SMILES**: OC/C(Cl)=C(\Cl)CO
**ΔE to the lowest compared entry with this formula, charge and spin**: 288.6 kJ/mol
**HOMO level**: -9.966 eV

natural (NBO) atomic charge list, values in e, 4 entries: O -0.732; C -0.111; C 0.030; Cl -0.095
-- Request --
Transcribe only the lines further above with the word "mol" in them.
-- Completed --
**ΔE to the lowest compared entry with this formula, charge and spin**: 288.6 kJ/mol